Spoiler-Free: This game is the definition of hardcore.

User Rating: 9.9 | Gears of War X360
General: This game is pretty much THE hardcore game for any system. The main weapon is an automatic with a chainsaw for a bayonet. That should say it all. Everything about this game screams intense, violent, and brutal. This cinematic approach is fully engrossing and the epitome of entertaining. The presentation reaches a tier not often seen in the videogame industry. You won't go five minutes without saying, "Holy &*%$, that was awesome!" It feels like it was meant to be played in co-op mode, as flanking and reviving are essential parts of the game, so it's a good thing there are both online and offline coop modes.

Gameplay: 10 - At first, it feels like the mechanics are somewhat shaky, but once you understand how the weapons, grenades, aiming, and action reloads work, the mechanics feel absolutely flawless. This is why I listed a 1 to 2 hour learning curve. The use of cover is a lot of fun, and the presentation creates both a sense of urgency and overwhelming odds. The bosses fit well into the game and lend a lot to the presentation. I truly felt a sense of satisfaction after beating the game. Also, the hammer of dawn (satellite-based laser weapon) rawks.

(Misplaced crystal structures)
<<<
VASP calculation (PBE) on an optimized crystal structure of Ta2Ru5Rh.

a = 3.887 Å, b = 5.533 Å, c = 11.067 Å
α = 90.00°, β = 90.00°, γ = 90.00°
Positions (direct):
Ta  0.500  0.248  0.375
Ta  0.500  0.752  0.625
Ta  0.500  0.252  0.875
Ta  0.500  0.748  0.125
Ru  0.500  0.246  0.126
Ru  0.500  0.754  0.874
Ru  0.500  0.746  0.374
Ru  0.500  0.254  0.626
Ru  0.000  0.006  0.749
Ru  0.000  0.994  0.251
Ru  0.000  0.506  0.751
Ru  0.000  0.494  0.249
Ru  0.000  0.500  0.500
Ru  0.000  0.000  0.000
Rh  0.000  0.000  0.500
Rh  0.000  0.500  0.000

* space group: Pbam


VASP calculation (PBE) on an optimized crystal structure of Ta3Ru2Rh2.

a = 4.355 Å, b = 4.357 Å, c = 7.677 Å
α = 90.01°, β = 106.47°, γ = 120.01°
Positions (direct):
Ta  0.000  0.000  0.000
Ta  0.490  0.245  0.735
Ta  0.510  0.755  0.265
Ru  0.752  0.376  0.127
Ru  0.248  0.624  0.873
Rh  0.254  0.127  0.380
Rh  0.746  0.873  0.620

* space group: R-3m


These records have DFT total energy values of -9.93 -10.08 eV per atom, in the order they appear.


(1)
ScCuAu2: relaxed, PBE.

a b c (Å): 4.6292 3.0951 5.1683
angles (deg): 89.89 90.00 90.00
Sites, in units of the cell vectors:
Sc 0.5000 0.7489 0.7562
Au 0.0000 0.2480 0.9761
Au 0.5000 0.2478 0.2784
Cu 0.0000 0.2553 0.4893

DFT total energy = -4.596 eV/atom
SG = Pm (6)
Crystal system = monoclinic
Total magnetization = 0.00 μB per cell
Energy relative to the elements = -1.40 eV/f.u.

(2)
ScCuAu: relaxed, PBE.

a b c (Å): 4.3435 4.3435 4.3435
angles (deg): 60.00 60.00 60.00
Sites, in units of the cell vectors:
Au 0.5000 0.5000 0.5000
Cu 0.7500 0.7500 0.7500
Sc 0.0000 0.0000 0.0000

DFT total energy = -4.864 eV/atom
SG = F-43m (216)
Polymorph energy (0 for the lowest one) = 265 meV/atom
Crystal system = cubic
Total magnetization = 0.00 μB per cell
Energy relative to the elements = -0.89 eV/f.u.

(3)
ScCu2Au: relaxed, PBE.

a b c (Å): 4.0363 3.2065 5.2595
angles (deg): 72.23 90.00 90.00
Sites, in units of the cell vectors:
Sc 0.0000 0.4547 0.4654
Au 0.5000 0.7944 0.7856
Cu 0.5000 0.0619 0.2512
Cu 0.0000 0.1890 0.9977

DFT total energy = -4.700 eV/atom
SG = Amm2 (38)
Crystal system = orthorhombic
Total magnetization = 0.00 μB per cell
Energy relative to the elements = -1.00 eV/f.u.

(4)
ScCuAu2: relaxed, PBE.

a b c (Å): 5.0155 5.0155 5.0155
angles (deg): 131.87 131.92 70.40
Sites, in units of the cell vectors:
Au 0.0000 0.0000 0.0000
Sc 0.2499 0.7499 0.5000
Cu 0.5001 0.5001 0.0000
Au 0.7501 0.2501 0.5000

DFT total energy = -4.742 eV/atom
SG = I-4m2 (119)
Crystal system = tetragonal
Total magnetization = 0.00 μB per cell
Energy relative to the elements = -1.98 eV/f.u.

(5)
ScCu2Au: relaxed, PBE.

a b c (Å): 4.4520 4.4520 4.4520
angles (deg): 60.00 60.00 60.00
Sites, in units of the cell vectors:
Cu 0.2500 0.2500 0.2500
Sc 0.0000 0.0000 0.0000
Au 0.5000 0.5000 0.5000
Cu 0.7500 0.7500 0.7500

DFT total energy = -4.798 eV/atom
SG = Fm-3m (225)
Crystal system = cubic
Total magnetization = 0.00 μB per cell
>>>
(So much for the crystal structures)

Graphics: 10 - You can see from the screenshots that the game looks great. The ragdoll physics and destructibility of the corpses seems very realistic and makes kills highly satisfying. Also, the animations for headshots and using the chainsaw bayonet are absolutely hardcore.

Sound: 10 - The sound fits perfectly into the hardcore feel of the game. The characters' responses to good/bad action reloads, kills, closing emergence holes, and reviving others are great. John Dimaggio (Bender on Futurama) was a great choice for Marcus Fenix (the main character). Many complain about the voice acting, but I thought it was very professional. The guitar riff at the end of a fight lets you know that you've mopped up the last of the enemies. Finally, the truly grating scream of the wretches gives one a good sense of just how much sound can contribute to the atmosphere of a game.

Value: 9 - The only thing that keeps the value from being a ten is the fact that the story mode can be played through twice in one rental (if you're committed). While my sister and I are busy people, we managed to play through on hardcore once and insane about half of the way through (you know you can do anything once you finish Act 2... oy...). Still, even playing through the game ten times seems like it would be highly satisfying, and the multiplayer component adds a lot, so I didn't penalize it on value much.

Tilt: 10 - There's no reason not to give this game a 10 for tilt. It's some of the most fun I've had playing video games in a long time. While I'm pissed that Zelda didn't get a 9.0 or higher, I fully acknowledge that Gears is better and a fully phenomenal game. It plays like a movie (even its cliche moments are highly entertaining through the game's great humor) and from the moment you chainsaw your first drone, you know you won't be able to put this game down for a long time.

Final Word: I'm a big believer in renting games before you buy them, but if you're into FPS's, and you're a fan of online multiplayer, buy this game. Now. It's even better than it looks, and that's saying a LOT.

Hope that helps.